By Kirsten Howard and Nathalie Morison
Coastal Resilience Staff at the New Hampshire Department of Environmental Services Coastal Program
We got out just in the nick of time—right before NHDOT closed the roads as winter storm Riley’s angry tides swallowed them up (temporarily). Our attempt to capture time lapse imagery of the coastal flooding in Hampton, New Hampshire was underway and success hinged on the strength of the few zip ties that secured a GoPro camera to a front porch.
Winter Storms Grayson and Riley Pack 1-2 Punch
Following a devastating 2017 Atlantic hurricane season that wreaked havoc throughout the Caribbean and southeastern U.S., early 2018 has been marked by back-to-back (-to-back-to-back…) nor’easters here in New Hampshire. Most notable among the winter storms were the two that coincided with full moon high tides: the icy January 4 Nor’easter named “Grayson” and the windy March 2-5 Nor’easter named “Riley.”
Depending on whom you ask, some say Grayson was worse and others swear Riley hit the hardest. Both storms caused moderate flooding and a number of local and state road closures, including sections of Route 1A which spans the NH coastline. Grayson won the prize for highest water levels, registering 13.24 feet at the Hampton, NH tide gauge and resulting in some severe back marsh flooding that caused at least one homeowner to lose an $11,000 HVAC system and temporarily trapped some staff at the Hampton Police and Fire Station in their flooded parking lot. Riley came with slightly lower water levels (the Hampton tide gauge registered 12.79 feet), but packed the windiest and waviest punch, resulting in greater impacts to the exposed Atlantic Coast. Riley also had impressive stamina, causing flooding during not just one but EIGHT high tide cycles over four days. Riley’s destruction is still being tallied but it included damage to the protective berm and wall along Route 1A through Rye down to Hampton, State Park and Beach facilities, and private property.
Did You Know
The Weather Channel only started naming winter storms in 2012. The practice has sparked a lot of controversy and even a Facebook page called “Stop the Weather Channel from naming winter storms.” Learn what fans of the naming convention think and why others hate it here.
Trending: Wacky, Wet, Winter Weather
So what’s up with these storms? We’ve heard from folks with good memories that they haven’t seen anything as bad as these storms since 2013 Winter Storm Nemo or the Blizzard of 1978 or (insert your favorite historical storm event here). While we aren’t trying to compare these storms to past events, we are interested in understanding whether any patterns exist here. Is it actually weird to experience multiple big storm events in one winter? Is it normal? Or is it a new normal?
What comes next are data records, not part of the entry
<<<
Record 1
{
  "formula": "C10H20HfO5Te4",
  "method": "the ωB97M-V functional and the def2-TZVPD basis",
  "symbols": ["Hf", "C", "C", "O", "C", "C", "O", "C", "C", "O", "C", "C", "O", "C", "C", "O", "H", "H", "H", "H", "H", "H", "H", "H", "H", "H", "H", "H", "H", "H", "H", "H", "H", "H", "H", "H", "Te", "Te", "Te", "Te"],
  "xyz": [[7.099, 8.262, 7.061], [5.309, 6.105, 9.013], [4.180, 6.575, 8.098], [4.891, 7.186, 7.000], [4.180, 7.294, 5.708], [5.236, 6.962, 4.661], [6.599, 7.300, 5.142], [7.534, 6.909, 4.093], [8.569, 6.175, 4.730], [9.156, 7.039, 5.667], [10.243, 6.515, 6.426], [9.753, 5.802, 7.686], [8.742, 6.650, 8.273], [8.223, 6.019, 9.418], [7.310, 6.920, 10.145], [6.213, 7.271, 9.255], [5.851, 5.362, 8.501], [4.888, 5.777, 9.956], [3.542, 7.338, 8.528], [3.710, 5.640, 7.752], [3.819, 8.312, 5.587], [3.378, 6.551, 5.598], [5.099, 7.611, 3.859], [5.344, 5.969, 4.278], [7.950, 7.780, 3.531], [7.009, 6.280, 3.390], [9.300, 5.854, 3.983], [8.214, 5.220, 5.142], [10.862, 7.388, 6.546], [10.813, 5.761, 5.840], [10.587, 5.545, 8.322], [9.282, 4.865, 7.465], [8.997, 5.596, 10.116], [7.714, 5.134, 9.039], [7.782, 7.944, 10.322], [6.913, 6.521, 11.072], [5.754, 10.393, 5.776], [6.531, 12.175, 8.353], [9.048, 12.031, 7.984], [9.138, 9.496, 8.687]],
  "forces_ev_per_angstrom": [[-0.7335, 0.0870, 0.2192], [-0.8969, 2.5488, 0.3693], [1.4645, -0.3854, -0.0105], [-0.1452, -0.0620, -1.0935], [1.0219, -0.9038, 0.5283], [0.6786, 0.7445, 1.2223], [-0.3533, -0.4350, -0.3169], [-0.9383, 1.6003, -1.4528], [2.0757, -2.1639, 0.1502], [-0.9337, 0.4589, 0.7642], [0.3505, -0.9791, -0.2992], [-0.1047, 1.2298, -1.2278], [0.6000, -0.0157, 0.0102], [0.5059, -1.8345, 1.1858], [-0.0749, 2.2269, -0.0409], [-0.5796, -0.6916, -1.2018], [0.6196, -1.1185, -0.4062], [0.2160, -0.1784, 0.2402], [-0.3932, -0.2601, 0.2204], [-0.4252, 0.6590, 0.1064], [-0.0824, -0.0826, 0.1697], [0.1040, 0.2723, 0.4771], [-0.4466, 1.0299, -1.6844], [-0.5807, -0.8356, 0.3245], [-0.6281, -0.2611, 0.6783], [-0.0899, -0.0769, -0.2715], [0.2232, 0.2268, -0.0977], [-0.1414, 0.2493, 0.4883], [0.3794, 0.0347, 0.7647], [-0.3157, 0.5471, 0.0919], [0.1831, 0.5046, 0.6286], [-0.4034, -0.6724, -0.4519], [-0.2676, 0.7917, -0.6744], [-0.2586, -0.3001, 0.3045], [-0.4447, -1.5678, 0.1889], [0.0349, -0.1808, 0.0633], [1.3685, 0.2402, 1.9448], [-1.5650, -0.5385, -1.0680], [0.8151, 0.8710, -0.2924], [0.1616, -0.7790, -0.5512]],
  "homo_lumo_gap_ha": 0.21164,
  "total_charge": 2
}

=====

Record 2
{
  "formula": "C10H20N2O3S2",
  "method": "the ωB97M-V functional and the def2-TZVPD basis",
  "symbols": ["C", "C", "C", "C", "C", "C", "C", "C", "C", "C", "H", "H", "H", "H", "H", "H", "H", "H", "H", "H", "H", "H", "H", "H", "H", "H", "H", "H", "H", "H", "N", "N", "O", "O", "O", "S", "S"],
>>>
End of the data records
Well, one recent study published in Nature Communications suggests that severe winter weather is two to four times more likely in the eastern United States when the Arctic is abnormally warm compared to when the Arctic is abnormally cold.
“Five of the past six winters have brought persistent cold to the eastern U.S. and warm, dry conditions to the West, while the Arctic has been off-the-charts warm,” said Dr. Jennifer Francis of Rutgers University and co-author on the research. “Our study suggests that this is no coincidence. Exactly how much the Arctic contributed to the severity or persistence of the pattern is still hard to pin down, but it’s becoming very difficult to believe they are unrelated.”
“Today’s Flood Will Become Tomorrow’s High Tide”

Some sunny day (nuisance/high tide/King Tide/full moon) flooding in Hampton, NH in October 2017. No storm necessary. Photo by Peter Degeronimo
While powerful wintertime nor’easters may be increasingly frequent, they represent only one piece in New Hampshire’s coastal flooding puzzle. A National Oceanic and Atmospheric Administration (NOAA) report published in February 2018 finds that minor coastal flooding, which is also commonly referred to as “high tide,” “nuisance,” or (our favorite) “sunny day” flooding is becoming more frequent at NOAA tide gauges in the Northeast thanks to sea-level rise. Though New Hampshire’s Fort Point and Hampton tide gauges did not have enough historical data to be included in the report, the findings indicate that between 2000 and 2015, annual high tide flooding frequency increased by 75% along the Northeast Atlantic from an average of 3.4 days to 6 days per year. Furthermore, the report predicts that high tide flood frequencies in the Northeast Atlantic will continue to increase rapidly as a result of sea-level rise. Depending on the sea-level rise scenario, high tide flooding along the Northeast Atlantic is expected to occur between 45 to 130 days per year by 2050 and at least every other day (182 days per year), if not every day (365 days per year), by 2100. This finding is further confirmed by research released in March 2018 by Dr. Jennifer Jacobs et al. the University of New Hampshire which found that there was a 90% average increase in nuisance flooding along the East Coast when comparing 1996-2005 and 2006-2015.
Hampton Coastal Flood Forecasts
Click here to access Hampton tide gauge data.
Thanks to the collaborative efforts of several regional partners, the tide gauge in Hampton Harbor, NH is equipped with a coastal flooding prediction system which can forecast water levels and potential flooding in and around the towns of Hampton, Hampton Falls, and Seabrook 2-3 days into the future. The National Weather Service (NWS) has established three coastal flood severity thresholds: minor (more disruptive than damaging), moderate (damaging), or major (destructive). Water levels peaked at 13.24’ during Grayson (pictured left) and 12.79’ during Riley (pictured right), resulting in major and moderate flooding, respectively.
Despite lacking long-term historical tide gauge data, Hampton, NH is no stranger to frequent high tide flooding. At a 2017 Select Board meeting to debate flood-related warrant articles, Town Manager Fred Welch stated that, based on the tide charts, he calculated a total of at least 49 likely days of high tide flooding in Hampton in the previous year, not counting storms. Residents agree that the flooding is getting worse, and they’re starting to pay for it. On March 13, 2018 residents passed two warrant articles (with 76% and 82% of the vote) to appropriate funds to investigate options for dealing with increasingly frequent high tide flooding in specific neighborhoods, including the neighborhood where we captured the time lapse during Riley. As a stop gap measure, the town recently granted residents of those neighborhoods special permission to park in public lots any time the tides exceed 10 feet.
What does this all mean? Let’s Summarize.
Nuisance, high tide flooding is occurring more frequently in the Northeast. This means that a typical nor’easter is more likely to coincide with a nuisance high tide.
Severe winter weather, such as the pattern of nor’easters we saw in 2018, is becoming more frequent as the Arctic warms.
So, we have compounding trends that are leading to more frequent and severe flooding in coastal NH.*
*While we always caution that these trends can’t be used to explain or predict specific weather events, they do help us understand why we’ve seen so much wacky, wet, winter weather lately.
Resilient Recovery
After the Riley’s tidal energy subsided, we headed out to Jenness Beach to measure the post-storm beach profile which helps us figure out how much sand was carried out to sea by the storm. As we pulled up to the beach parking lot, we noted that a changing room had detached from the bath house and sat stranded in the middle of the lot, surrounded by damaged pavement. The beach was noticeably skinnier and rockier—the waves had carried a lot of sand offshore (though natural beach processes dictate that much of that sand will likely wash back up on the beach over the next few weeks). But maybe more noticeable than the lost sediment and the parking lot damage was the number of officials at work cleaning up the mess. NHDOT workers were rebuilding shale piles and Town of Rye staff were rebuilding the winter beach berms. After a nor’easter like Riley it becomes increasingly apparent that, despite the undeniably severe power of the storm and the substantial costs the state, towns, and private property owners will incur to repair the damage, New Hampshire’s workers and residents are resilient to their cores.
While we have a long way to go to be ready for more flooding in the future, our built-in resilience bodes well for our chances of successfully adapting to the major climate changes coming our way. We hope that these storms will serve as an active reminder of the increasing need to proactively plan and prepare for today’s flood and tomorrow’s high tide.

Want to learn more about efforts to reduce coastal flood risk and increase resilience in New Hampshire’s communities? Sign up for the New Hampshire Coastal Adaptation Workgroup (NHCAW) newsletter and follow up on social media to find out about our regular workshops and partner events. You can also visit the NHCAW Project Portal which highlights all sorts of past and present projects to prepare coastal NH for climate change impacts.
If you have questions for the New Hampshire Department of Environmental Services Coastal Program Resilience Team (Kirsten and Nathalie) you can reach out to them directly at or They are always working to raise awareness about coastal flood risks, the things communities can do to avoid the costliest impacts, and grant opportunities.